编辑: 紫甘兰 2019-07-03
journal of orthopaedic &

sports physical therapy?|?volume 44?|?number 10?|?october 2014?|?749 H umans are structurally and physiologically developed for long-distance running, which likely evolved during our time as hunters and gatherers.

Althoughtheabilitytohuntandgatherisnolonger an evolutionary requirement, many people continue to run long distances today to take advantage of the well-known health and wellness benefits of endurance exercise. Unfortunately, distance running also carries the risk of developing overuse injuries, which in bone consist of bone stress injury (BSI). A BSI represents the inability of bone to withstand repeti- tive mechanical loading, which results in structural fatigue and localized bone pain and tenderness. Bone stress inju- ries occur along a pathology continuum beginning with stress reactions, which can progress to stress fractures and, ul- timately, complete bone fractures. The purpose of this commentary is to discuss management and prevention options for BSIs in runners. In doing so, information is provided on the pathophysiology, epi- demiology, risk factors, clinical diagnosis, and classification of BSIs. PATHOPHYSIOLOGY OF BSI T he pathophysiology underlying BSI remains somewhat speculative;

however, there is growing consensus that it involves an imbalance between load-induced microdamage formation and its removal. A theoretical model is presented in FIGURE 1. The skeleton is ex- posed to mechanical loading during run- ning, which causes bones to deform. The amount of deformation depends on the load magnitude and ability of bone to re- sist deformation, and is often expressed as strain. Strain refers to the change in length per unit length of a bone. It is a unitless value;

however, because it is small for bone, it is often expressed as microstrain (?ε). Attachment of strain gauges to the tibia in select individuals has demonstrated compressive and ten- sile bone strains of

........
5
Properties=species:S:1:pos:R:3:mulliken_charge:R:1 method="wB97M-V/def2-TZVPD" multiplicity=3 gap_ev="8.37 / 8.24" s2=2.351 homo_ha="-0.3257 / -0.3317" de_lowest_kj_mol=252.7
Cl 1.103 1.863 0.494 -0.0109
F -2.840 0.608 0.579 -0.0673
N -2.309 1.610 -0.087 0.0077
C 0.076 0.792 -0.136 -0.1639
H 0.131 -0.227 0.241 0.2344


Entry 1:
Formula: C29H46P2SSn
Source: OMol25
Level of theory: the ωB97M-V functional and the def2-TZVPD basis

## Properties
Net charge: +2
Highest occupied orbital energy (spin up / spin down), eV: -10.9263 / -11.6768

XYZ file:
```
79
C29H46P2SSn (the ωB97M-V functional and the def2-TZVPD basis)
Sn 0.06 0.33 -1.80
C -0.61 -2.80 2.92
C 0.69 -3.16 2.46
C 0.95 -1.59 4.12
C -0.44 -1.84 3.97
C 1.65 -2.40 3.18
C -1.90 -3.32 2.44
H -1.84 -3.56 1.37
H -2.70 -2.59 2.59
H -2.18 -4.25 2.96
C -1.52 -1.14 4.68
H -2.46 -1.68 4.59
H -1.68 -0.12 4.28
H -1.27 -1.03 5.75
C 1.56 -0.60 5.02
H 0.99 -0.52 5.95
H 1.59 0.40 4.55
H 2.59 -0.88 5.27
C 3.11 -2.46 3.01
H 3.59 -3.10 3.77
H 3.56 -1.46 3.11
H 3.38 -2.86 2.03
C 0.98 -4.17 1.42
H 1.24 -5.14 1.87
H 1.84 -3.86 0.80
H 0.12 -4.33 0.76
C -1.01 1.24 -3.47
C -1.81 -0.06 -3.69
C -1.05 -1.13 -4.53
C 0.52 -1.09 -4.49
C 1.28 -0.47 -3.33
C 2.07 0.83 -3.69
C 1.31 1.79 -4.65
C -0.23 1.80 -4.66
H -1.32 -1.03 -5.61
H 0.87 -0.60 -5.42
H -1.40 -2.13 -4.24
H -0.62 1.36 -5.61
H -1.62 2.02 -3.00
H -2.80 0.15 -4.13
H -0.52 2.87 -4.72
H 1.67 2.82 -4.50
H 3.00 0.49 -4.22
H 1.62 1.56 -5.69
H 0.87 -2.14 -4.54
H 1.93 -1.18 -2.80
P -2.45 -0.69 -2.00
C -3.56 0.62 -1.43
C -3.24 -2.30 -1.93
P 2.86 1.72 -2.22
C 1.37 2.08 -1.29
C 3.58 0.41 -1.20
C 4.00 3.09 -2.41
H -3.10 1.10 -0.56
H -4.51 0.14 -1.11
H -3.76 1.35 -2.23
H -2.58 -3.08 -2.36
H -4.22 -2.30 -2.45
H -3.39 -2.52 -0.85
H 3.99 3.51 -3.43
H 5.02 2.76 -2.18
H 3.71 3.87 -1.68
H 1.46 1.99 -0.18
H 0.87 3.02 -1.55
H 3.66 0.82 -0.18
H 4.56 0.13 -1.59
H 2.93 -0.48 -1.15
S -0.09 0.82 1.98
C -0.93 2.07 2.74
C -0.89 2.31 4.15
C -1.81 3.16 4.75
C -2.74 3.87 3.96
C -2.66 3.79 2.56
C -1.76 2.92 1.95
H -0.12 1.81 4.74
H -1.81 3.29 5.83
H -3.50 4.48 4.43
H -3.30 4.41 1.94
H -1.67 2.83 0.87
```



Entry 2:
Formula: C29H47ClN3O
Source: OMol25
Level of theory: the ωB97M-V functional and the def2-TZVPD basis

## Properties
Net charge: +2
Expectation value of S²: 0.754
Spin multiplicity: 2
Highest occupied orbital energy (spin up / spin down), eV: -11.1961 / -12.7486

XYZ file:
```
81
C29H47ClN3O (the ωB97M-V functional and the def2-TZVPD basis)
C 5.53 1.53 -0.29
C 4.27 2.39 -0.42
C 3.63 2.38 -1.82
C 3.45 0.99 -2.47
C 4.25 0.91 -3.77
C 1.95 0.52 -2.62
C 2.02 -0.94 -3.15
C 0.72 -1.76 -3.09
C 0.78 -2.81 -2.01
Cl -0.86 -3.51 -1.71
C 1.14 1.33 -3.68
C 0.30 2.59 -3.29
C 1.00 3.86 -3.75
C -1.08 2.59 -3.99
N 0.10 2.64 -1.80
O 0.51 3.67 -1.17
C 0.01 1.38 -1.02
C -1.23 0.57 -1.41
C -0.12 1.75 0.45
C 1.30 0.55 -1.21
H 5.30 0.49 -0.03
H 6.09 1.51 -1.22
H 6.19 1.92 0.49
H 3.53 2.10 0.33
H 4.52 3.43 -0.19
H 4.27 2.98 -2.47
H 2.69 2.90 -1.76
H 3.89 0.25 -1.80
H 3.87 1.60 -4.53
H 4.28 -0.09 -4.20
........
Back to the text:

417 to

2456 ?ε during running.1 While the safety factor between these strains and those required to break cortical bone in tension is large (7300 ?ε),6 strains below the level required for fracture are capable of generating micro- scopic damage (termed microdamage) (FIGURE 2A). Microdamage formation is thresh- old dependent, with the threshold for its formation depending on the interac- T TSYNOPSIS: Bone stress injury (BSI) repre- sents the inability of bone to withstand repetitive loading, which results in structural fatigue and localized bone pain and tenderness. A BSI occurs along a pathology continuum that begins with a stress reaction, which can progress to a stress fracture and, ultimately, a complete bone fracture. Bone stress injuries are a source of concern in long-distance runners, not only because of their frequency and the morbidity they cause but also because of their tendency to recur. While most BSIs readily heal following a period of modified loading and a progressive return to running activi- ties, the high recurrence rate of BSIs signals a need to address their underlying causative factors. A BSI results from disruption of the homeostasis between microdamage formation and its removal. Microdamage accumulation and subsequent risk for development of a BSI are related both to the load applied to a bone and to the ability of the bone to resist load. The former is more amenable to intervention and may be modified by interventions aimed at training-program design, reducing impact-related forces (eg, instructing an athlete to run softer or with a higher stride rate), and increasing the strength and/or endur- ance of local musculature (eg, strengthening the calf for tibial BSIs and the foot intrinsics for BSIs of the metatarsals). Similarly, malalignments and abnormal movement patterns should be explored and addressed. The current commentary discusses management and prevention of BSIs in runners. In doing so, information is provided on the pathophysiology, epidemiology, risk factors, clini- cal diagnosis, and classification of BSIs. T TLEVEL OF EVIDENCE: Therapy, level 5. J Orthop Sports Phys Ther 2014;
